**Material:**
********
The following is a GGA-PBE calculation of a relaxed structure of SrLi2Cu2, from Alexandria via LeMat-Bulk.

Its density of states at the Fermi level is 3.40 states/eV/cell. The polymorph energy (0 for the lowest one) comes out at 0 meV per atom. Its magnetization is 0.000 μB/atom. The total energy comes out at -2.77 eV per atom.

The space group is C2/m (No. 12) and the conventional cell measures 10.813, 4.271 and 5.074 Å, with angles of 90.00, 107.14 and 90.00 degrees. The asymmetric unit holds Sr at (0.000, 0.000, 0.000), Li at (0.168, 0.500, 0.574) and Cu at (0.233, 0.500, 0.105).
********
**What to do:**
Please filter the data above: keep the lines with the word "following".
**Worked solution:**
The following is a GGA-PBE calculation of a relaxed structure of SrLi2Cu2, from Alexandria via LeMat-Bulk.